• Entries:
+++
The following is a theoretical powder diffraction line list of CrInGe. It was derived from a crystal structure in Alexandria, relaxed with GGA-PBE, using λ = 1.5418 Å (Cu Kα).
Lines closer than 0.1° are merged.

Top 6 peaks for 10° ≤ 2θ ≤ 80°, in order of rising 2θ:
30.50°, d = 2.931 Å, rel. 564, (1 1 0); 33.00°, d = 2.714 Å, rel. 523, (4 0 -1); 34.80°, d = 2.578 Å, rel. 864, (4 0 0); 38.91°, d = 2.315 Å, rel. 936, (3 1 -1); 39.66°, d = 2.273 Å, rel. 1000, (1 1 -2); 45.45°, d = 1.996 Å, rel. 620, (4 0 -3)

```
data_CrInGe
_cell_length_a 10.8939
_cell_length_b 3.0566
_cell_length_c 6.7982
_cell_angle_alpha 90.00
_cell_angle_beta 108.85
_cell_angle_gamma 90.00
_space_group_name_H-M_alt 'C 1 2/m 1'
_space_group_IT_number 12
loop_
_space_group_symop_operation_xyz
'x,y,z'
'-x,-y,-z'
'-x,y,-z'
'x,-y,z'
'x+1/2,y+1/2,z'
'-x+1/2,-y+1/2,-z'
'-x+1/2,y+1/2,-z'
'x+1/2,-y+1/2,z'
loop_
_atom_site_label
_atom_site_fract_x
_atom_site_fract_y
_atom_site_fract_z
Cr1 0.1055 0.0000 0.4830
In1 0.0919 0.5000 0.8153
Ge1 0.1760 0.5000 0.2364
```

=====

Entry 1:
Computed X-ray powder pattern
Compound: Rb3TbMgV2O8
Radiation: Cu Ka
Structure: a PBE+U-relaxed structure

Structure:
Cell: 5.676 5.967 8.976 Å, 84.04 89.70 67.93°
Space group P1 (No. 1)
Symmetry-distinct sites (fractional):
Rb (0.000, 0.000, 0.000)
Rb (0.275, 0.452, 0.584)
Rb (0.662, 0.668, 0.813)
Tb (0.543, 0.818, 0.339)
Mg (0.684, 0.302, 0.261)
V (0.220, 0.428, 0.093)
V (0.946, 0.107, 0.541)
O (0.238, 0.515, 0.903)
O (0.292, 0.971, 0.523)
O (0.356, 0.598, 0.217)
O (0.487, 0.125, 0.153)
O (0.768, 0.437, 0.457)
O (0.818, 0.088, 0.715)
O (0.825, 0.980, 0.392)
O (0.909, 0.433, 0.137)

Top 6 peaks for 2θ = 5–70°, by intensity:
25.71°, I = 100; 27.09°, I = 72; 31.72°, I = 70; 26.38°, I = 66; 30.50°, I = 60; 27.55°, I = 57

---

Entry 2:
Computed X-ray powder pattern
Compound: Ba3In2WO9
Radiation: Cu Ka
Structure: a PBE+U-relaxed structure

Structure:
Cell: 5.975 8.459 17.951 Å, 90.00 90.00 90.00°
Space group Immm (No. 71)
Symmetry-distinct sites (fractional):
Ba (0.000, 0.234, 0.000)
Ba (0.000, 0.259, 0.339)
In (0.000, 0.000, 0.169)
In (0.000, 0.000, 0.500)
In (0.000, 0.500, 0.500)
W (0.000, 0.500, 0.168)
O (0.000, 0.241, 0.500)
O (0.000, 0.268, 0.170)
O (0.230, 0.500, 0.091)
O (0.237, 0.500, 0.245)
O (0.249, 0.500, 0.413)

Top 6 peaks for 2θ = 5–70°, by intensity:
29.88°, I = 100; 53.05°, I = 39; 42.77°, I = 29; 62.07°, I = 14; 62.15°, I = 3; 18.17°, I = 2

---

Entry 3:
Computed X-ray powder pattern
Compound: Fe10O9F11
Radiation: Cu Ka
Structure: a PBE+U-relaxed structure

Structure:
Cell: 4.771 4.774 15.478 Å, 90.11 90.13 93.27°
Space group P1 (No. 1)
Symmetry-distinct sites (fractional):
Fe (0.000, 0.000, 0.000)
Fe (0.001, 0.000, 0.599)
Fe (0.421, 0.500, 0.900)
Fe (0.434, 0.509, 0.507)
Fe (0.457, 0.470, 0.111)
Fe (0.458, 0.461, 0.712)
Fe (0.475, 0.491, 0.302)
Fe (0.940, 0.950, 0.413)
Fe (0.961, 0.961, 0.809)
Fe (0.962, 0.983, 0.208)
O (0.148, 0.794, 0.907)
O (0.162, 0.786, 0.512)
O (0.252, 0.276, 0.805)
O (0.263, 0.279, 0.207)
O (0.278, 0.304, 0.008)
O (0.280, 0.302, 0.609)
O (0.632, 0.656, 0.404)
O (0.651, 0.675, 0.805)
O (0.666, 0.682, 0.203)
F (0.156, 0.788, 0.705)
F (0.158, 0.776, 0.302)
F (0.160, 0.796, 0.105)
F (0.248, 0.275, 0.403)
F (0.667, 0.696, 0.009)
F (0.670, 0.694, 0.610)
F (0.754, 0.194, 0.513)
F (0.761, 0.175, 0.303)
F (0.764, 0.179, 0.908)
F (0.773, 0.169, 0.705)
F (0.777, 0.176, 0.104)

Top 6 peaks for 2θ = 5–70°, by intensity:
34.56°, I = 100; 25.68°, I = 100; 27.22°, I = 92; 51.24°, I = 62; 53.05°, I = 26; 52.90°, I = 23

---

Entry 4:
Computed X-ray powder pattern
Compound: NiSO9
Radiation: Cu Ka
Structure: a PBE+U-relaxed structure

Structure:
Cell: 4.484 4.755 7.244 Å, 105.23 92.72 91.89°
Space group P1 (No. 1)
Symmetry-distinct sites (fractional):
Ni (0.000, 0.000, 0.000)
S (0.520, 0.443, 0.953)
O (0.131, 0.925, 0.298)
O (0.227, 0.783, 0.796)
O (0.296, 0.480, 0.778)
O (0.327, 0.340, 0.085)
O (0.338, 0.026, 0.418)
O (0.664, 0.729, 0.050)
O (0.695, 0.548, 0.500)
+++

• Wanted:
It remains to quote only the lines earlier on with the word "fractional" in them.

• Written answer:
Symmetry-distinct sites (fractional):
Symmetry-distinct sites (fractional):
Symmetry-distinct sites (fractional):
Symmetry-distinct sites (fractional):